An overseas Iranian resistance group has warned that Tehran is using the nuclear negotiations as a cover for the relentless pursuit of nuclear weapons. The National Council of Resistance of Iran (NCRI) adds that Iran is close to building a nuclear weapon and has been making incremental progress all these years.
NCRI is based in Paris, but the organization works with the People's Mojahedin Organization of Iran (PMOI/MEK, which has operatives inside Iran who gather sensitive information on Iran's nuclear weapons program.
True Depth of Iran's Nuclear Capability
"The Iranian resistance, mainly the People's Mojahedin Organization of Iran, have been the key factor, the key player that has brought the issue of the Iranian nuclear program to the international attention," said Shahin Gobadi, the spokesperson for NCRI.
## Here the piece breaks off for data records
........
3
Lattice="4.825 0.000 0.000 -2.412 4.178 0.000 0.000 0.000 3.035" Properties=species:S:1:pos:R:3 comment="PuPdAu, optimized geometry, DFT PBE-GGA" dft_energy_ha_per_atom=-0.2956 de_polymorph_mev_per_atom=8 delta_e_f_ev_per_atom=-0.44 m_tot_mub_per_fu=5.7 pbc="T T T"
Pu 0.000 0.000 0.000
Pd 0.000 2.785 1.517
Au 2.412 1.393 1.517

12
Lattice="3.509 0.000 0.000 -1.754 3.039 0.000 0.000 0.000 26.064" Properties=species:S:1:pos:R:3 comment="Tm2PtS, optimized geometry, DFT PBE-GGA" dft_energy_ha_per_atom=-0.2027 formation_energy_uncorrected_ev_per_atom=-0.739 de_polymorph_mev_per_atom=885 m_tot_mub_per_fu=0.0 pbc="T T T"
Tm 0.000 0.000 2.615
Tm 0.000 0.000 23.449
Tm 0.000 2.026 14.761
Tm 0.000 2.026 19.991
Tm 1.754 1.013 6.073
Tm 1.754 1.013 11.303
Pt 0.000 0.000 0.000
Pt 0.000 2.026 17.376
Pt 1.754 1.013 8.688
S 0.000 0.000 13.032
S 0.000 2.026 4.344
S 1.754 1.013 21.720

10
Lattice="2.996 -5.261 0.000 2.996 5.261 0.000 0.000 0.000 5.907" Properties=species:S:1:pos:R:3 comment="AcBePt3, optimized geometry, DFT PBE-GGA" dft_energy_ha_per_atom=-0.2237 de_polymorph_mev_per_atom=0 delta_e_f_ev_per_atom=-0.90 m_tot_mub_per_fu=0.0 pbc="T T T"
Ac 2.996 2.671 4.430
Ac 2.996 -2.671 1.477
Be 2.996 4.258 1.477
Be 2.996 -4.258 4.430
Pt 1.523 0.000 0.000
Pt 1.523 0.000 2.953
Pt 2.996 1.954 1.477
Pt 2.996 -1.954 4.430
Pt 4.470 0.000 0.000
Pt 4.470 0.000 2.953

----------

No. 1
CaAcOs4 GGA-PBE relaxed; energy of formation = 0.2031 eV per atom; volume = 19.43 A^3/atom
1.0
5.483 0.000 0.000
2.742 4.749 0.000
2.742 1.583 4.477
Ac Os Ca
1 4 1
direct
0.250 0.250 0.250
0.626 0.626 0.123
0.626 0.123 0.626
0.626 0.626 0.626
0.123 0.626 0.626
0.000 0.000 0.000



No. 2
Ca2Ac2Os GGA-PBE relaxed; energy of formation = 0.1052 eV per atom; volume = 35.97 A^3/atom
1.0
5.085 0.000 -0.780
-0.120 5.084 -0.780
-0.446 -0.457 14.051
Ca Ac Os
4 4 2
direct
0.823 0.823 0.645
0.073 0.573 0.145
0.427 0.927 0.855
0.177 0.177 0.355
0.945 0.445 0.890
0.695 0.695 0.390
0.305 0.305 0.610
0.555 0.055 0.110
0.500 0.500 0.000
0.750 0.250 0.500



No. 3
CaAc8Os2 GGA-PBE relaxed; energy of formation = 0.0311 eV per atom; volume = 40.38 A^3/atom
1.0
6.898 0.288 0.250
-0.171 6.891 -3.233
0.582 0.166 9.289
Ca Ac Os
1 8 2
direct
0.000 0.000 0.000
0.605 0.892 0.276
0.395 0.616 0.724
0.900 0.789 0.578
0.100 0.211 0.422
0.605 0.384 0.276
0.395 0.108 0.724
0.166 0.579 0.157
0.834 0.421 0.843
0.329 0.728 0.457
0.671 0.272 0.543



No. 4
CaAc4Os GGA-PBE relaxed; energy of formation = 0.0135 eV per atom; volume = 41.26 A^3/atom
1.0
7.301 0.000 3.456
0.536 6.692 -1.131
-0.359 -1.137 10.200
Ca Ac Os
2 8 2
direct
0.805 0.183 0.389
0.195 0.817 0.611
0.683 0.788 0.634
0.641 0.618 0.223
0.742 0.000 0.000
0.864 0.382 0.777
0.317 0.212 0.366
0.359 0.382 0.777
0.258 0.000 0.000
0.136 0.618 0.223
0.536 0.649 0.927
0.464 0.351 0.073



> Among the records above, which one has the lowest volume?

CaAcOs4



> volume of number 1 (CaAcOs4)?

19.43 A^3/atom
........

He also added that but for the Iranian resistance the world would not have known about the true depth of Iran's nuclear capability. Gobadi told Saudi Arabia's Arab News that the organization has made key revelations about secret Iranian nuclear sites, projects, and facilities. Saudi Arabia is a direct adversary of Iran, vying with the Shia nation for regional dominance.
"... The world would have been totally caught off guard regarding the mullahs' secret drive to acquire nuclear weapons and by now the world would have been faced with a predicament of the worst regime being equipped with the worst weapon," he said.
Gobadi is a thermal nuclear scientist, and he joined the Iranian resistance 40 years ago when he was a UCLA student.
Joint Comprehensive Plan of Action
Ever since former US President Donald Trump withdrew from the nuclear deal known as Joint Comprehensive Plan of Action (JCPOA), Iran has accelerated its nuclear activities which were barred under the terms of the 2015 deal.
Materials data from another source follow =
=====
No. 1
Below is Li3In8 after structural relaxation, with properties calculated at the PBE level.

Cell lengths 4.4359, 5.5454, 11.7916 Å; angles 102.96, 90.00, 113.58 degrees
Closest atoms and distances in Å follow each position.
Positions (direct):
Li  0.0000  0.0000  0.0000  12 In 3.19-3.35
Li  0.9072  0.8145  0.3571  11 In 3.14-3.29, 1 Li 3.43
Li  0.0928  0.1855  0.6429  11 In 3.14-3.29, 1 Li 3.43
In  0.6340  0.2681  0.4597  7 In 3.10-3.34, 5 Li 3.19-3.29
In  0.1847  0.3694  0.2770  4 Li 3.14-3.35, 8 In 3.20-3.24
In  0.8153  0.6306  0.7230  4 Li 3.14-3.35, 8 In 3.20-3.24
In  0.4565  0.9131  0.1813  4 Li 3.16-3.19, 8 In 3.20-3.34
In  0.7274  0.4547  0.0889  8 In 3.16-3.28, 4 Li 3.19-3.24
In  0.3660  0.7319  0.5403  7 In 3.10-3.34, 5 Li 3.19-3.29
In  0.2726  0.5453  0.9111  8 In 3.16-3.28, 4 Li 3.19-3.24
In  0.5435  0.0869  0.8187  4 Li 3.16-3.19, 8 In 3.20-3.34

Computed properties:
Density of states at the Fermi level ... 0.369 states/eV/atom
Calculated total energy ... -2.653 eV/atom
Space group ... C2/m, No. 12
Energy above the lowest structure with this stoichiometry ... 0 meV/atom



No. 2
Below is Cs3Rb2Au3 after structural relaxation, with properties calculated at the PBE level.

Cell lengths 4.4455, 6.1744, 15.5622 Å; angles 101.44, 98.21, 90.00 degrees
Closest atoms and distances in Å follow each position.
Positions (direct):
Au  0.8933  0.8933  0.7866  2 Rb 3.57, 6 Cs 3.81-3.91
Au  0.0000  0.5000  0.0000  8 Cs 3.69-3.80
Au  0.1067  0.1067  0.2134  2 Rb 3.57, 6 Cs 3.81-3.91
Rb  0.6991  0.1991  0.3982  2 Au 3.57
Rb  0.3009  0.8009  0.6018  2 Au 3.57
Cs  0.4023  0.4023  0.8046  6 Au 3.69-3.81
Cs  0.5977  0.5977  0.1954  6 Au 3.69-3.81
Cs  0.5000  0.0000  0.0000  8 Au 3.80-3.91

Computed properties:
Density of states at the Fermi level ... 0.336 states/eV/atom
Calculated total energy ... -2.036 eV/atom
Space group ... Immm, No. 71
Energy above the lowest structure with this stoichiometry ... 0 meV/atom



No. 3
Below is HgBi3Te3 after structural relaxation, with properties calculated at the PBE level.

Cell lengths 6.3368, 9.6372, 9.6372 Å; angles 120.00, 90.00, 90.00 degrees
Closest atoms and distances in Å follow each position.
Positions (direct):
Te  0.2500  0.3205  0.3842  5 Bi 3.18-3.52
Te  0.2500  0.0638  0.6795  5 Bi 3.18-3.52
Te  0.7500  0.6795  0.6158  5 Bi 3.18-3.52
Te  0.7500  0.9362  0.3205  5 Bi 3.18-3.52
Te  0.7500  0.3842  0.0638  5 Bi 3.18-3.52
Te  0.2500  0.6158  0.9362  5 Bi 3.18-3.52
Bi  0.7500  0.2689  0.3252  1 Hg 3.03, 4 Te 3.18-3.22
Bi  0.2500  0.7311  0.6748  1 Hg 3.03, 4 Te 3.18-3.22
Bi  0.2500  0.3252  0.0564  1 Hg 3.03, 4 Te 3.18-3.22
Bi  0.2500  0.9436  0.2689  1 Hg 3.03, 4 Te 3.18-3.22
Bi  0.7500  0.6748  0.9436  1 Hg 3.03, 4 Te 3.18-3.22
Bi  0.7500  0.0564  0.7311  1 Hg 3.03, 4 Te 3.18-3.22
Hg  0.2500  0.6667  0.3333  3 Bi 3.03
Hg  0.7500  0.3333  0.6667  3 Bi 3.03

Computed properties:
Density of states at the Fermi level ... 0.615 states/eV/atom
Calculated total energy ... -3.041 eV/atom
=====
Here the piece continues =

The International Atomic Energy Agency said in October 2020 that Iran was short of 'significant quantity' of potential bomb material. Analysts observed then that Tehran made advances in pursuit of its alleged clandestine nuclear weapons program after the US exited the nuclear deal.
In November 2019, Iranian President Hassan Rouhani himself said the country was kickstarting the stalled nuclear program. He said uranium was to be injected into 1,044 centrifuges at its Fordow nuclear facility. Iran's nuclear chief Ali Akbar Salehi confirmed that 30 advanced IR-6 centrifuges were to be launched in a move to accelerate the uranium enrichment process, which was in clear violation of the terms of the 2015 nuclear deal.
Uranium Enrichment
In December 2020, Iran's parliament passed a bill seeking partial suspension of UN inspections of its nuclear facilities. The inspection was part of the 2015 nuclear deal. Iran set a deadline of February 23 for the European signatories to offer relief from oil and banking sanctions.

"The Iranians continue to enrich uranium, and to a much higher degree than they have committed themselves to. And this amount is growing by the month," IAEA chief Rafael Grossi told Die Presse, had said at that time.
The Iranian resistance believes that it does not make any sense to restore JCPOA. Gobadi said the Iranian regime sees the negotiations as "appeasement," adding that the hope that Tehran would abandon its nuclear weapons ambitions if JCPOA is restored is entirely misplaced.
"An agreement that does not close the regime's path to a nuclear drive is not going to stop the drive. If the West holds firm, the regime has no choice but to concede to the West. Unfortunately, that was not the desire at the time, particularly of the Obama administration," Gobadi said.